GDPR: The Good, The Bad and the Scary.
Records of molecules, as found in the file:
┌──
[1]
The following is a DFT calculation (wB97M-V/def2-TZVPD) of C20H37CoN8OS2 as an isolated structure.

The molecular weight is 528.638 g mol⁻¹. The value obtained for the HOMO energy (spin up / spin down) is -13.76 / -13.76 eV. As for the calculated total energy: -94593.6128 eV.

The geometry in ORCA input format:
```
! RIJCOSX wB97M-V def2-TZVPD def2/J DEFGRID3
* xyz 2 1
Co 0.345 0.006 0.011
C -0.035 3.295 -2.503
C 0.103 2.341 -1.370
N -0.034 1.066 -1.493
N -0.359 0.562 -2.713
C -0.402 -0.742 -2.714
N -0.693 -1.360 -3.866
S -0.088 -1.721 -1.321
C 0.376 2.775 0.003
C 0.428 4.100 0.396
C 0.638 4.391 1.737
C 0.785 3.352 2.640
C 0.724 2.051 2.171
N 0.536 1.770 0.885
H 0.190 2.793 -3.439
H 0.630 4.147 -2.376
H -1.059 3.675 -2.563
H -0.794 -0.814 -4.707
H -0.649 -2.361 -3.937
H 0.297 4.891 -0.327
H 0.680 5.419 2.070
H 0.937 3.536 3.693
H 0.823 1.205 2.838
C -4.836 -2.219 -0.020
N -3.440 -1.848 0.234
C -2.725 -2.782 1.102
C -2.934 -0.674 -0.128
S -1.737 0.057 0.912
N -3.430 -0.039 -1.193
C -3.965 -0.758 -2.350
C -3.387 1.411 -1.355
H -5.235 -2.641 0.902
H -4.923 -2.964 -0.809
H -5.417 -1.338 -0.276
H -2.976 -3.794 0.786
H -3.030 -2.647 2.141
H -1.654 -2.632 1.009
H -3.631 -1.791 -2.331
H -3.562 -0.278 -3.242
H -5.053 -0.720 -2.397
H -3.268 1.894 -0.391
H -4.335 1.722 -1.794
H -2.582 1.696 -2.032
C 2.930 -3.282 3.209
N 1.592 -2.678 3.255
C 0.694 -3.043 4.358
C 1.197 -1.872 2.321
N 0.843 -1.148 1.491
H 3.476 -3.022 4.114
H 3.469 -2.910 2.341
H 2.838 -4.365 3.137
H 1.154 -2.767 5.306
H 0.515 -4.117 4.341
H -0.250 -2.516 4.249
C 3.771 2.003 0.717
C 3.239 0.589 0.809
O 2.457 0.216 -0.357
C 3.390 -0.288 -1.363
C 2.844 -0.333 -2.762
H 4.293 2.254 1.642
H 2.962 2.719 0.578
H 4.479 2.124 -0.102
H 2.609 0.464 1.679
H 4.059 -0.128 0.899
H 3.735 -1.272 -1.033
H 4.243 0.391 -1.342
H 2.061 -1.071 -2.864
H 3.659 -0.622 -3.426
H 2.481 0.644 -3.082
*
```

[2]
The following is a DFT calculation (wB97M-V/def2-TZVPD) of C40H61As3FN4OPSe2SiTi as an isolated structure.

The molecular weight is 1122.566 g mol⁻¹. The value obtained for the HOMO energy (spin up / spin down) is -0.62 / -0.62 eV. For the energy above the lowest of the compared OMol25 structures with the same formula, charge and spin, the calculation gives 279.26 kJ/mol. As for the calculated total energy: -406689.0202 eV.

The geometry in ORCA input format:
```
! RIJCOSX wB97M-V def2-TZVPD def2/J DEFGRID3
* xyz -2 1
Ti 1.018 -1.442 -0.409
C 0.203 4.293 1.555
As -0.275 2.423 1.997
C -2.000 2.964 2.786
C 0.713 2.360 3.736
C 2.044 1.586 3.759
C 2.829 1.831 2.462
C 1.807 0.076 3.924
As 0.807 -0.883 2.447
C -0.933 -0.833 3.359
C 1.186 -2.704 3.073
C 2.964 2.092 4.889
As 2.484 2.331 6.811
C 2.100 4.268 6.717
C 0.607 1.787 7.083
H -0.020 4.956 2.394
H -0.410 4.584 0.702
H 1.253 4.393 1.282
H -1.851 3.671 3.607
H -2.567 2.105 3.144
H -2.575 3.443 1.993
H 0.034 1.904 4.459
H 0.888 3.395 4.051
H 2.269 1.454 1.608
H 3.794 1.320 2.491
H 2.998 2.901 2.314
H 1.274 -0.108 4.864
H 2.777 -0.424 4.017
H -0.814 -1.149 4.398
└──
Is your company affected by the new GDPR regulations? Ask these questions:
- Does the company have a presence in a EU country?
- Does the company hold any personal information about an EU citizen?
- If your company has retained any information on any EU citizen, have you protected that information against potential breach’s?
- Has your company yet to assess the materiality of the impact of the regulations (also known as Data Protection Impact Assessment)?
- Has your company yet to assign a Data Protection Officer?
- Has your company yet to develop processes to enable various rights an EU citizen may invoke, such as the right to know what information you possess or the right to be forgotten?
- Has consent for any processing performed on EU citizen information held yet to be obtained?
If you answered yes to any of the questions above, this blog is for you.
These quantum chemistry results were left in the page by mistake:
No. 1
Here is a 2-piece molecular cluster, C2H8NO overall at a distorted geometry from the Open Molecules 2025 dataset. Energies are from the ωB97M-V functional and the def2-TZVPD basis.

Atoms and positions in Å:
O -2.312 1.861 -0.671
N 0.982 0.160 0.169
C -0.180 0.085 -0.679
C 1.261 -1.037 0.920
H -1.227 0.292 -0.307
H 1.690 -1.785 0.253
H 2.055 -0.826 1.657
H 0.868 0.955 0.785
H -0.161 0.948 -1.324
H -3.160 1.662 -1.106
H 0.446 -1.464 1.521
H -0.263 -0.853 -1.219

Values from the calculation:
* 2S+1: 2
* energy: -210.8637 Ha
* HOMO-LUMO gap (alpha / beta): 9.74 / 6.64 eV
* LUMO (alpha / beta): 0.0365 / -0.0753 Ha
* energy relative to the best compared isomer or geometry (same formula, charge and spin): 1.812 eV
* <S²>: 0.754

Atomic partial charges in e from the Löwdin method, atoms 1 to 6:
1 O -0.042
2 N -0.167
3 C -0.170
4 C -0.166
5 H 0.056
6 H 0.074

No. 2
Here is a 5-piece molecular cluster, C29H36F32N4O5PS overall at a distorted geometry from the Open Molecules 2025 dataset. Energies are from the ωB97M-V functional and the def2-TZVPD basis.

Atoms and positions in Å:
S -2.238 1.731 -3.268
P -1.321 2.397 -1.678
F 7.602 -2.061 -10.513
F -6.098 2.332 11.368
F -6.874 0.429 12.043
F 5.990 -3.618 -7.773
F -4.514 4.427 3.079
F 5.546 -3.975 -9.849
F 7.991 -0.500 -6.122
F 4.998 -1.550 -13.576
F 8.035 -2.833 -3.085
F -8.381 0.559 14.202
F -6.645 0.479 7.542
F 3.381 -0.484 -11.651
F 5.489 -0.369 -11.147
F -8.865 -1.504 14.673
F 6.655 -4.228 -4.018
F -10.851 -1.482 12.703
F -8.875 -1.139 11.922
F -4.116 2.552 4.092
F -5.392 0.754 5.789
F -8.502 3.012 10.259
F -6.020 2.357 2.127
F 6.450 -0.698 -4.126
F -6.923 2.030 4.062
F 8.932 -0.231 -3.407
F 5.797 -3.009 -12.194
F 10.048 -0.653 -6.738
F 9.622 1.301 -4.780
F 8.276 -3.787 -9.381
F 5.395 -2.095 -2.854
F -8.625 2.657 12.398
F -7.136 2.968 6.411
F -6.132 3.120 8.309
O -4.949 3.501 6.489
O -10.331 0.573 12.098
O 9.248 -2.238 -5.431
O 5.196 -1.938 -8.956
O 0.698 0.494 2.006
N 1.865 -0.529 -4.397
N 2.290 -2.588 -2.922
N -0.798 2.049 0.931
N 3.050 -2.431 -5.181
C -5.620 1.213 7.033
C 4.460 -1.238 -11.289
C 9.213 -0.855 -5.691
C 7.188 -2.975 -4.134
C -0.099 -0.375 -1.504
C -5.048 3.519 3.945
C 6.046 -3.057 -9.004
C -1.214 -0.160 -0.381
C 4.129 -1.854 -9.912
C -7.055 1.400 11.128
C 0.693 -1.737 -1.099
C -5.233 4.247 5.295
C -8.445 2.033 11.209
C 8.006 -2.960 -5.444
C -1.542 2.485 2.139
C 7.497 -2.680 -9.320
C -6.318 2.961 3.300
C -5.973 2.703 7.032
C 6.034 -1.976 -4.047
C 4.730 -2.223 -12.428
C 2.184 -1.687 -1.728
C -9.828 -0.598 12.699
C -9.363 -0.363 14.140
C 2.425 -1.854 -4.174
C -1.643 1.367 -0.098
C 1.804 2.057 0.526
C 9.693 -0.022 -4.498
C 0.476 1.447 1.209
C -9.643 1.093 10.950
H -6.869 0.981 10.135
H 8.308 -3.996 -5.619
H -1.017 -0.751 0.578
H 3.366 -3.375 -4.903
H 10.727 -0.269 -4.242
H -1.224 1.925 3.082
H 7.901 -2.011 -8.555
H 0.152 -2.662 -1.471
H 3.589 -2.799 -9.999
H -1.825 3.724 -1.392
H 1.580 3.139 0.294
H 5.297 -2.153 -4.838
H -6.192 4.765 5.360
H -4.726 1.025 7.632
H 7.395 -2.703 -6.309
Based on your answers, your company is required to comply with the General Data Protection Regulation (GDPR) by May 25th, 2018. This is expected to set new standards in regard to your data collection, storage, retention, and security policies.
Here is a look at the good, the bad and the scary for your business and the people whose data you are collecting.
The Good:
What would the GDPR protect?
The GDPR will protect privacy data such as:
- Basic Identity Information (Name, Address, etc.).
- Web Data (IP address, Location, Cookies, History, Etc.).
- Biometric data.
- Health and genetic data.
- Political affiliation.
- Ethnic/Racial data.
- Sexual orientation.
- Religious affiliation.
- Personal preferences.
The Bad:
What will GDPR cost my company?
Recent surveys say that 68% of U.S. based companies expect to invest 1 to 10 million to meet requirements and another 9% expect to spend more than 10 million[i].
But this is not the end. GDPR is not a single, one-time event. GDPR requires continuous active monitoring, and a visible, proactive data governance program to assure EU citizens are protected, and their rights can be exercised appropriately.
The Scary:
What will happen if your company is not in compliance?
You can expect steep fines. Violators will be placed in one of two penalty tiers with the highest tiers of over 20 million Euros or 4% of the company’s net income[ii].
One recent example of this is when New York’s Attorney General Eric T. Schneiderman announced a $700,000 joint settlement with Hilton after a data breach exposed hundreds of thousands of credit card numbers[iii].
If this data breach happened after May 2018 when GDPR takes effect, that same data breach would have been fined $420 Million USD. Consequently, Hilton agrees to provide expedient notice to consumers of future breaches, reform its data security practices, and conduct regular assessments of its data security program.
Closing Thoughts:
Mohit Sahgal, The VP of Analytics for Paradigm Technology had this to say when asked about his thoughts on the Digital Guardian’s article and GDPR.
- Keep in mind that Regulators are getting smarter. You can expect more fines.
- Currently GDPR comprises over 100 articles and recitals that require some degree of treatment. You and your business can’t afford to ignore this.
- Three key requirements that must be addressed:
- Consistent, repeatable data protection processes, including Data Protection (Privacy) Impact Assessment.
- Managing EU citizen personal information, including processing various rights an EU citizen may invoke.
- Appointing a Data Protection Officer (DPO), a senior company officer who is held accountable for the implementation of the Articles.
What should your company be doing to prepare for GDPR?
- Conduct a thorough review of the Articles.
- Conduct an initial DPIA (Data Privacy Impact Assessment).
- Based on the initial DPIA, use the diagnostic to assess key program constructs that require attention.
- Define an implementation blueprint in terms of strategy, process, data, security, technology and people to address the Articles and DPIA findings.
- Identify opportunities for automation (key to enabling and accelerating consistent, repeatable processes, including future DPIAs).
- Create a business case / cost model for the entire program including support, as requirements are released into production.
- Create a high-level program plan that includes key milestones for introducing capabilities in an iterative, incremental and systematic manner.
- Identify a DPO sponsor (possibly existing Chief Data Officer).
- Define the organizational structure, roles, responsibilities, and operating model required to support the program.
- Establish a formal training program to communicate the necessity of the program, accountabilities, work streams, milestones, and on-going change management.
Written by: Frank Golda; Manager of Marketing and Communications.
Paradigm Technology is a boutique consulting company and strategic solutions partner. Paradigm utilizes innovative business solutions to help clients shift their focus to the value we help derive in Analytics, Cloud, and Project Leadership.
For more information about Paradigm Technology email or visit
[i] (GDPR Compliance Top Data Protection Priority for 92% of US Organizations in 2017, According to PwC Survey).
[ii] (GDPR: What It Means for US-based Companies).
[iii] (A.G. Schneiderman Announces $700,000 Joint Settlement with Hilton After Data Breach Exposed Hundreds of Thousands of Credit Card Numbers).